Thursday, July 5, 2007


(Sorry, sorry for the delay. (It took me five goes to type "sorry" correctly.) I cannot type tonight. There has been Stuffage going on, you see. But at least it's still Thursday.)

Yesterday was the Fourth of July, Independence Day here in America. You might have noticed that our emblem here at The Spiced Tea Party, the flag-waving, bared-bosom heroine is no doubt celebrating her independence -- although I cannot remember the entire painting (Jane can chime in with the source), but definitely has to do with the French Revolution and maybe even Bastille Day.

It’s an odd thing, independence: bare-breasted women waving French flags, women burning bras and the like... is writing erotic romance antithetical to that?

I mean, surely to write a romance, erotic or not, is abandoning all our feminist idealism and settling for co-dependence with a MAN for God’s sake!

OK, you know I don’t believe that, right??? For there is undoubtedly independence in writing and reading romance, especially erotic romance. In exploring fantasies, a woman can, through reading, safely discover her likes and dislikes when it comes to sex. She can take a bit of the boldness from her favorite heroine and share those fantasies with her partner. This is women writing for women, making it okay for women to want what they want (and how they want it).

Next to the piece, the page also holds calculated crystals:
~~~
## CeEuIn4 (PBE)

Data for crystalline CeEuIn4 at its relaxed geometry.

Unit cell a=6.1364 b=6.1364 c=6.1364 alpha=60.00 beta=60.00 gamma=60.00
Last column: magnetic moment on the atom in μB.
Sites, in units of the cell vectors:
In 0.1258 0.6247 0.6247  0.00
In 0.6247 0.6247 0.6247  0.00
In 0.6247 0.6247 0.1258  0.00
In 0.6247 0.1258 0.6247  0.00
Eu 0.0000 0.0000 0.0000  6.87
Ce 0.2500 0.2500 0.2500  0.99

Properties
Formation energy from the elements ... -0.3551 eV per atom
Final energy ... -4.88 eV per atom
SG ... F-43m (216)

~~~~~

# 1
The following is a DFT calculation (PBE) of Pr2Y3Ho7 after structural relaxation.

Unit cell a=6.3496 b=3.5258 c=17.4798 alpha=90.00 beta=96.09 gamma=90.00
Space group P2/m (No. 10)
Inequivalent atoms, fractional coordinates:
Pr: 0.0585 0.0000 0.1733
Y: 0.4521 0.5000 0.8423
Y: 0.5000 0.0000 0.5000
Ho: 0.0000 0.5000 0.5000
Ho: 0.2267 0.0000 0.6655
Ho: 0.2564 0.0000 0.9990
Ho: 0.2745 0.5000 0.3371

Magnetization (μB per formula unit): 0.00
Energy relative to the elements (eV/f.u.): 0.953

# 2
The following is a DFT calculation (PBE) of Pr2Y5Ho4 after structural relaxation.

Unit cell a=23.9636 b=3.4717 c=8.7786 alpha=90.00 beta=96.18 gamma=90.00
Space group C2/m (No. 12)
Inequivalent atoms, fractional coordinates:
Pr: 0.0921 0.0000 0.2412
Y: 0.0000 0.5000 0.5000
Y: 0.1406 0.0000 0.6227
Y: 0.2332 0.0000 0.3237
Ho: 0.0456 0.0000 0.8618
Ho: 0.1774 0.5000 0.9729

Magnetization (μB per formula unit): 0.00
Energy relative to the elements (eV/f.u.): 1.677

# 3
The following is a DFT calculation (PBE) of PrY6Ho12 after structural relaxation.

Unit cell a=11.9247 b=11.9247 c=15.0949 alpha=90.00 beta=90.00 gamma=120.00
Space group R-3 (No. 148, hexagonal axes)
Inequivalent atoms, fractional coordinates:
Pr: 0.0000 0.0000 0.0000
Y: 0.0067 0.4204 0.6772
Ho: 0.0236 0.8400 0.1926
Ho: 0.0391 0.8518 0.4162

Magnetization (μB per formula unit): 0.00
Energy relative to the elements (eV/f.u.): 3.050

# 4
The following is a DFT calculation (PBE) of Pr3Y4Ho4 after structural relaxation.

Unit cell a=10.6681 b=5.7408 c=12.0953 alpha=90.00 beta=90.00 gamma=90.00
Space group Amm2 (No. 38)
Inequivalent atoms, fractional coordinates:
Pr: 0.0000 0.0000 0.0000
Pr: 0.2970 0.0000 0.1473
Y: 0.0000 0.0000 0.3013
Y: 0.2900 0.0000 0.8438
Y: 0.5000 0.0000 0.3624
Ho: 0.0000 0.0000 0.7000
Ho: 0.2147 0.0000 0.4994
Ho: 0.5000 0.0000 0.6347

Magnetization (μB per formula unit): 0.00
Energy relative to the elements (eV/f.u.): 1.699

# 5
The following is a DFT calculation (PBE) of PrY12Ho6 after structural relaxation.

Unit cell a=15.5283 b=15.5283 c=8.7328 alpha=90.00 beta=90.00 gamma=120.00
Space group R-3 (No. 148, hexagonal axes)
Inequivalent atoms, fractional coordinates:
Pr: 0.0000 0.0000 0.0000
Y: 0.0170 0.8760 0.6653
Y: 0.0689 0.5080 0.6677
Ho: 0.0354 0.7542 0.3328

Magnetization (μB per formula unit): 0.00
Energy relative to the elements (eV/f.u.): 0.452

# 6
The following is a DFT calculation (PBE) of PrY2Ho4 after structural relaxation.
~~~

One of my favorite fan emails came from a woman who thanked me for writing SHOW ME, adding that it added spice to her sex life with her husband. She thanked the Lord for my gift, which thrilled me to pieces.

One of the reasons I’m asking is that I’ve always been a dyed-in-the-wool feminist. Ever since I was a wee thing and nearly killed myself and two friends by demanding that we girls were just as capable as the boys of carrying the TV set back to the store room. That TV was *heavy*, but I finally got our English teacher to cave and let us do it.

Anyway, as a feminist, I don’t have trouble writing romances, just as I don’t have trouble with women choosing to stay home with the kids as a career. The whole point of feminism (as a writer friend of mine, Elizabeth Bear recently made much better than I ever will) is that it’s given us choices. And that, as erotic romance writers is what we provide our readers. Choices.

So, an the “happily ever after, loads of sex with men with bulging man-tittys” fantasy be a pathway to independence and happiness, or slavery to social and sexual norms we can never live up to?

(OK, so some of us don’t care if we never get the mantitty aspect of the fantasy.)



Eden Bradley-Eve Berlin said...

Well, man-titties aside, I don't think romance, or erotic romance, are in any sort of direct opposition to feminism. Especially erotic romance. For me, the fact that this genre is so enormously popular among women right now is a direct result of a sort of evolution in how we perceive ourselves as women. We are much more accepting, on a societal level as well as an individual level, of ourselves as sexual beings. It's always been fine for men (from the dashing rake to the rock star)but now it's fine for us, too, and I like it!
I write dirty, dirty books. I have for over twenty years, and I'm grateful there is finally a market for my work. If we, as women, still spent our lives limiting ourselves to what other people approved of, no matter how narrow-minded the view, how many of us would even have gone to college? Played baseball? Pursued corporate careers? And I certainly wouldn't have a writing career.
And just because you mentioned it, I'm a bit star-struck now that you've mentioned you know Elizabeth Bear! Anne Groell at Bantam turned me on to her work recently, and I think she's freakin' brilliant!
Okay-I'm tired and hope I'm making sense...aside from the fan-girl gush. *G*

Celia May Hart said...

Bear is pretty awesome. I have to pick up "Whiskey & Water", but I think I might have to wait until I get back from National.


Good points on not being so worried on what others think!

Pam Rosenthal said...

I agree with everything you guys have said, but I still think we have a long way to go. As do a lot of men. For example, I think the mantitty aesthetic reveals a similar erotic immaturity as a lot of the Playboy stuff I grew up with, for example.

Not to knock erotic immaturity completely, because eroticism is also where we get to indulge some interesting primitive parts of ourselves. But more diversity, less compulsory heterosexuality, less conformism on the part of what publishers think people might want would also be nice.